Emiži = folk, guys
Leoši = the world
Eseafo = authorities
Ilaža wept. His emiži had suffered terrible damages in the last years, and would continue
The last defenders of the eseafo. šea
Then, an image. An odd image, unlike anything he had seen. Somehow, it did not flicker or ripple. The colors did not cycle continually, and as he turned his head, the image moved instead of lingering on. Everything about it was disorienting. He took a step forwards, and the image got bigger in a way he had never thought possible. As his foot touched the ground, there was a loud noise, almost as load as normal talking. The sound kept repeating, slowly getting quieter and quieter, something completely foreign to him.
He saw a terrifying image. Two creatures, standing next to each other, and getting bigger. They were making a noise, as if talking, but not saying anything he could understand.
"Jo emiži ra?" he shouted.
"What?" one of the men replied.
"It's the M.E.G., you need anything buddy?" the other shouted back.
"Jo no va di leoši i ra, oso jo evota euf mi ra? Jo emiži ra?"
"Man, can't make out a word of what you're saying, sorry."
== Attached: calculated crystals ==
/*
(1)
An optimized crystal structure of LaY2Si, computed with PBE.

Values from the calculation:
**Density**: 5.001 g/cm3
**Calculated total energy**: -0.22555 hartree per atom
**Spin magnetization**: 0.00 μB/cell
**Raw formation energy**: -0.32 eV/atom

abc: 6.4621 6.4621 6.4621
angles: 144.87 131.85 60.98
Last column: nearest neighbours and their distance in Å.
Element x y z (fractional)
La (0.0000, 0.0000, 0.0000)  4 Si 3.28, 4 Y 3.45
Y (0.3004, 0.8004, 0.5000)  2 Si 2.96
Y (0.6996, 0.1996, 0.5000)  2 Si 2.96
Si (0.5000, 0.5000, 0.0000)  4 Y 2.96, 4 La 3.28

=====

(2)
An optimized crystal structure of HoThPd6, computed with PBE.

Values from the calculation:
**Density**: 11.926 g/cm3
**Calculated total energy**: -0.23375 hartree per atom
**Spin magnetization**: 0.00 μB/cell

abc: 4.1682 4.1682 8.2990
angles: 90.00 90.00 90.00
Last column: nearest neighbours and their distance in Å.
Element x y z (fractional)
Ho (0.0000, 0.0000, 0.0000)  12 Pd 2.93-2.95
Th (0.0000, 0.0000, 0.5000)  12 Pd 2.95
Pd (0.0000, 0.5000, 0.2477)  8 Pd 2.93-2.95, 2 Ho 2.93, 2 Th 2.95
Pd (0.0000, 0.5000, 0.7523)  8 Pd 2.93-2.95, 2 Ho 2.93, 2 Th 2.95
Pd (0.5000, 0.0000, 0.2477)  8 Pd 2.93-2.95, 2 Ho 2.93, 2 Th 2.95
Pd (0.5000, 0.0000, 0.7523)  8 Pd 2.93-2.95, 2 Ho 2.93, 2 Th 2.95
Pd (0.5000, 0.5000, 0.0000)  8 Pd 2.93, 4 Ho 2.95
Pd (0.5000, 0.5000, 0.5000)  4 Th 2.95, 8 Pd 2.95

=====

(3)
An optimized crystal structure of Er2CdPd, computed with PBE.

Values from the calculation:
**Density**: 9.886 g/cm3
**E above lowest polymorph**: 0.000 eV per atom
**Calculated total energy**: -0.16284 hartree per atom
**Spin magnetization**: 0.00 μB/cell

abc: 3.5633 3.5633 7.3203
angles: 90.00 90.00 90.00
Last column: nearest neighbours and their distance in Å.
Element x y z (fractional)
Er (0.0000, 0.0000, 0.2263)  4 Pd 3.02, 4 Cd 3.22, 1 Er 3.31
Er (0.0000, 0.0000, 0.7737)  4 Pd 3.02, 4 Cd 3.22, 1 Er 3.31
Cd (0.5000, 0.5000, 0.5000)  8 Er 3.22, 4 Cd 3.56
Pd (0.5000, 0.5000, 0.0000)  8 Er 3.02

=====

(4)
An optimized crystal structure of Sr2ZrZn, computed with PBE.

Values from the calculation:
**Density**: 4.159 g/cm3
**Calculated total energy**: -0.11103 hartree per atom
**Spin magnetization**: 0.00 μB/cell

abc: 5.0127 7.0921 7.0921
angles: 31.71 90.00 90.00
Last column: nearest neighbours and their distance in Å.
Element x y z (fractional)
Sr (0.0000, 0.0000, 0.0000)  2 Zr 3.41, 4 Zn 3.50
Sr (0.5000, 0.3116, 0.3116)  2 Zn 3.37, 4 Zr 3.48
Zr (0.0000, 0.7057, 0.7057)  2 Zn 2.83
Zn (0.5000, 0.6098, 0.6098)  2 Zr 2.83

=====

(5)
An optimized crystal structure of Zr2InSb, computed with PBE.

Values from the calculation:
**Density**: 7.612 g/cm3
**E above lowest polymorph**: 0.035 eV per atom
**Calculated total energy**: -0.23301 hartree per atom
**Spin magnetization**: 0.00 μB/cell
**Raw formation energy**: -0.35 eV/atom

abc: 3.3212 3.3212 8.4379
angles: 90.00 90.00 100.87
Last column: nearest neighbours and their distance in Å.
Element x y z (fractional)
*/
== So much for the calculated crystals ==
Ilaža was weirded out. The images sounded like people, but they were speaking in a bizarre manner that was completely unintelligeble. However, the two creatures did not appear threatening. Wanting to make sure, he wiped the ground in order to gather some bleda, but his fingers did not catch anything but bare rock. This leoši truly was bizarre. Thankfully he still had some in his pocket, so he threw the dust into his eyes and closed them shut.
# Misplaced calculated crystals
┌──
1.
VASP calculation (PBE) on crystalline HfTaP2O at its relaxed geometry.

Lattice parameters (Å, degrees): 4.993 4.993 3.804 90.00 90.00 90.00
Sites, in units of the cell vectors:
P1 0.500 0.000 0.000
P2 0.000 0.500 0.000
O1 0.000 0.000 0.500
Hf1 0.000 0.000 0.000
Ta1 0.500 0.500 0.500

Computed properties:
crystal system	tetragonal
symmetry	No. 123
ΔE to the lowest computed polymorph	478	meV per atom

***

2.
VASP calculation (PBE) on crystalline HfTaPO2 at its relaxed geometry.

Lattice parameters (Å, degrees): 3.920 3.920 5.466 90.00 90.00 90.00
Each line ends with the local moment (μB).
Sites, in units of the cell vectors:
O1 0.500 0.000 0.000  0.02
O2 0.000 0.500 0.000  0.02
Hf1 0.000 0.000 0.000  0.00
P1 0.000 0.000 0.500  -0.05
Ta1 0.500 0.500 0.500  1.28

Computed properties:
crystal system	tetragonal
symmetry	No. 123
ΔE to the lowest computed polymorph	264	meV per atom

***

3.
VASP calculation (PBE) on crystalline HfTaPO2 at its relaxed geometry.

Lattice parameters (Å, degrees): 3.881 3.881 5.214 90.00 90.00 90.00
Each line ends with the local moment (μB).
Sites, in units of the cell vectors:
P1 0.000 0.000 0.500  0.00
Hf1 0.500 0.500 0.500  0.09
Ta1 0.000 0.000 0.000  0.01
O1 0.500 0.000 0.000  0.01
O2 0.000 0.500 0.000  0.01

Computed properties:
crystal system	tetragonal
symmetry	No. 123
ΔE to the lowest computed polymorph	0	meV per atom

***

4.
VASP calculation (PBE) on crystalline HfTaP2O at its relaxed geometry.

Lattice parameters (Å, degrees): 4.911 4.911 3.768 90.00 90.00 90.00
Sites, in units of the cell vectors:
Ta1 0.000 0.000 0.000
P1 0.500 0.000 0.000
P2 0.000 0.500 0.000
O1 0.000 0.000 0.500
Hf1 0.500 0.500 0.500

Computed properties:
crystal system	tetragonal
symmetry	No. 123
ΔE to the lowest computed polymorph	0	meV per atom

***

5.
VASP calculation (PBE) on crystalline HfTcPO2 at its relaxed geometry.

Lattice parameters (Å, degrees): 3.784 3.784 5.194 90.00 90.00 90.00
Sites, in units of the cell vectors:
Hf1 0.500 0.500 0.500
Tc1 0.000 0.000 0.000
O1 0.000 0.500 0.000
O2 0.500 0.000 0.000
P1 0.000 0.000 0.500

Computed properties:
crystal system	tetragonal
symmetry	No. 123
ΔE to the lowest computed polymorph	232	meV per atom

***

6.
VASP calculation (PBE) on crystalline HfTcP2O at its relaxed geometry.

Lattice parameters (Å, degrees): 5.080 5.080 3.876 90.00 90.00 90.00
Each line ends with the local moment (μB).
Sites, in units of the cell vectors:
P1 0.000 0.500 0.000  -0.15
P2 0.500 0.000 0.000  -0.15
Hf1 0.000 0.000 0.000  0.00
O1 0.000 0.000 0.500  -0.02
Tc1 0.500 0.500 0.500  3.30

Computed properties:
crystal system	tetragonal
symmetry	No. 123
ΔE to the lowest computed polymorph	248	meV per atom

***

7.
VASP calculation (PBE) on crystalline HfTcPO2 at its relaxed geometry.

Lattice parameters (Å, degrees): 3.947 3.947 5.538 90.00 90.00 90.00
Each line ends with the local moment (μB).
Sites, in units of the cell vectors:
Tc1 0.500 0.500 0.500  3.39
O1 0.500 0.000 0.000  0.09
O2 0.000 0.500 0.000  0.09
└──
# The piece goes on
The weird images disappeared, and were replaced with the usual ones, though this time everything was slightly dim. He was immediately able to sense that these creatures were normal emiži that the weird properties of this leoši had made appear corrupted. As he sensed the ground the two were standing on, he realized why everything was so dim: the open area he was in appeared to lack bleda entirely. If this was true, he'd soon have to resort to the corrupted images to sense things. However, there was still some bleda left in his eyes.
Records of crystals, kept here for reference >
********
Here is a relaxed Na5Pt3 crystal from Alexandria via LeMat-Bulk. Energies are from GGA-PBE.

Formation energy   -0.06 eV per atom
ρ   6354 kg/m³
Spin magnetization   0.00 μB per formula unit

a b c (Å): 9.1740 9.1740 5.0226
angles (deg): 90.00 90.00 120.00
Last column: nearest neighbours and their distance in Å.
Space group P6_3/mcm (No. 193)
Unique sites:
Na (0.0000, 0.2441, 0.2500) (multiplicity 6)  1 Pt 2.76
Na (0.3333, 0.6667, 0.0000) (multiplicity 4)  2 Na 2.51
Pt (0.0000, 0.4550, 0.7500) (multiplicity 6)  2 Pt 2.64, 5 Na 2.76-2.96

---

Here is a relaxed Mg2HgP crystal from Alexandria via LeMat-Bulk. Energies are from GGA-PBE.

Formation energy   -0.35 eV per atom
ρ   5265 kg/m³
Spin magnetization   0.00 μB per formula unit

a b c (Å): 6.9811 3.9270 6.7517
angles (deg): 90.00 107.29 90.00
Last column: nearest neighbours and their distance in Å.
Space group C2/m (No. 12)
Unique sites:
Mg (0.2239, 0.0000, 0.1869) (multiplicity 4)  3 P 2.59-2.60
Hg (0.0000, 0.0000, 0.5000) (multiplicity 2)  6 Mg 2.98-3.10
P (0.0000, 0.5000, 0.0000) (multiplicity 2)  6 Mg 2.59-2.60

---

Here is a relaxed Tb2TcBr crystal from Alexandria via LeMat-Bulk. Energies are from GGA-PBE.

ρ   8475 kg/m³
Spin magnetization   1.25 μB per formula unit
ΔE_f (raw)   0.1882 eV/atom

a b c (Å): 3.3253 3.3253 30.4318
angles (deg): 90.00 90.00 120.00
Last column: nearest neighbours and their distance in Å.
Space group R-3m (No. 166, hexagonal axes)
Unique sites:
Tb (0.0000, 0.0000, 0.0871) (multiplicity 6)  1 Tc 2.65
Tc (0.0000, 0.0000, 0.0000) (multiplicity 3)  2 Tb 2.65
Br (0.0000, 0.0000, 0.5000) (multiplicity 3)  6 Tb 3.09, 6 Br 3.33

---

Here is a relaxed CoMo2 crystal from Alexandria via LeMat-Bulk. Energies are from GGA-PBE.

Formation energy   0.24 eV per atom
ρ   9590 kg/m³
Spin magnetization   1.98 μB per formula unit

a b c (Å): 3.1641 3.1641 8.6754
angles (deg): 90.00 90.00 90.00
Last column: nearest neighbours and their distance in Å.
Space group I4/mmm (No. 139)
Unique sites:
Co (0.0000, 0.0000, 0.0000) (multiplicity 2)  10 Mo 2.66-2.89
Mo (0.0000, 0.0000, 0.3331) (multiplicity 4)  5 Mo 2.66-2.90, 5 Co 2.66-2.89

---

Here is a relaxed Ag2PPt crystal from Alexandria via LeMat-Bulk. Energies are from GGA-PBE.

Formation energy   0.02 eV per atom
ρ   11022 kg/m³
Spin magnetization   0.00 μB per formula unit

a b c (Å): 2.9621 4.2373 5.5013
angles (deg): 90.00 105.44 90.00
Last column: nearest neighbours and their distance in Å.
Space group Pm (No. 6)
Unique sites:
Ag (0.0000, 0.0000, 0.0000) (multiplicity 1)  3 Pt 2.84-2.88, 6 Ag 2.92-2.96, 4 P 2.96
Ag (0.3702, 0.5000, 0.7415) (multiplicity 1)  3 P 2.81-2.90, 6 Ag 2.92-2.96, 4 Pt 2.97-2.98
P (0.6369, 0.5000, 0.2715) (multiplicity 1)  2 Pt 2.35
Pt (0.7315, 0.0000, 0.4646) (multiplicity 1)  2 P 2.35

---

Here is a relaxed RbTl2Bi2Pb crystal from Alexandria via LeMat-Bulk. Energies are from GGA-PBE.

Formation energy   -0.10 eV per atom
ρ   8268 kg/m³
Spin magnetization   0.00 μB per formula unit
********
The article goes on >
Suddenly, he noticed something shocking. It was quite dim, but one of the men was carrying a piece of clothing of some sort inside his backbag. Attached to the piece, there was a dim metallic plate, bearing the insignia of eseofa. How was this possible? Had he somehow found emiži that still respected the eseofa? As he was pondering the question, the bleda suddenly ran out and he opened his eyes.